The Local Pet Store – Information and IAS

Did you know that the global pet trade threatens biodiversity and can negatively impact human health and the economy? It has the potential to accelerate the spread of invasive alien species around the world. The exotic pet trade is responsible for transporting reptiles, amphibians, mammals, and birds across various regions to be bought as pets. Supplying the correct information about these animals to potential owners can help prevent the introduction of alien species into the ecosystem. 

Biosecurity is a form of protection against invasive alien species that uses an integrated approach that includes regulatory and policy frameworks for managing and analyzing relevant risks to plant, animal, and human life and health, including risks to the environment and biodiversity. In a pet store, especially an online store, some sellers sell a variety of non-native species without any warning about their potential to be invasive species. Read more about this in our policy brief ‘Improving Biosecurity will safeguard our Health, Economy, and Irreplaceable Biodiversity.’ 

Across the globe, a wide variety of species are sold for use in aquaria. ‘’One-third of aquatic invasive species identified in the world have been identified aquarium or ornamental releases,’’ according to a recent report from the Convention on Biological Diversity. Aquariums can act as a pathway for alien species, as dumping the contents of an aquarium into a waterbody inadvertently introduces a non-native species to the natural environment. To prevent the release of non-native species one can, desist from purchasing, selling, or trading them. Read more about marine invasive pathways and our tagged marine species in our policy brief, ‘’ Prevention and Management of Marine invasive alien Species in the Caribbean.’’ 

-- Crystal structures from another source follow --
- - -
1.
Below is a relaxed ZnH8C4N3O6 crystal, with properties calculated at the PBE level.

The structure in POSCAR format:
```
ZnH8C4N3O6
1.0
4.190 -4.583 5.865
1.991 -6.068 -6.164
10.175 5.978 -2.598
O Zn C H N
24 4 16 32 12
Direct
0.740 0.634 0.592
0.900 0.916 0.311
0.103 0.079 0.684
0.941 0.881 0.692
0.741 0.868 0.906
0.897 0.579 0.184
0.558 0.882 0.307
0.400 0.084 0.311
0.240 0.366 0.592
0.259 0.368 0.406
0.260 0.134 0.092
0.559 0.619 0.192
0.760 0.866 0.092
0.759 0.632 0.406
0.441 0.119 0.692
0.058 0.118 0.307
0.600 0.584 0.811
0.442 0.382 0.807
0.059 0.381 0.192
0.603 0.921 0.684
0.241 0.132 0.906
0.397 0.421 0.184
0.942 0.618 0.807
0.100 0.416 0.811
0.252 0.249 0.250
0.752 0.751 0.250
0.248 0.251 0.750
0.748 0.749 0.750
0.020 0.986 0.276
0.251 0.757 0.502
0.751 0.243 0.502
0.249 0.743 0.002
0.249 0.201 0.999
0.482 0.987 0.722
0.018 0.513 0.222
0.749 0.257 0.002
0.982 0.013 0.722
0.751 0.701 0.499
0.518 0.487 0.222
0.480 0.514 0.776
0.749 0.799 0.999
0.251 0.299 0.499
0.520 0.014 0.276
0.980 0.486 0.776
0.824 0.429 0.416
0.910 0.072 0.784
0.085 0.751 0.881
0.828 0.458 0.050
0.327 0.934 0.083
0.097 0.929 0.215
0.328 0.542 0.050
0.583 0.256 0.621
0.255 0.175 0.498
0.827 0.066 0.083
0.417 0.756 0.121
0.410 0.928 0.784
0.585 0.249 0.881
0.173 0.566 0.583
0.415 0.749 0.381
0.176 0.929 0.916
0.090 0.572 0.284
0.672 0.042 0.550
0.403 0.571 0.715
0.917 0.244 0.121
0.915 0.251 0.381
0.745 0.675 0.998
0.172 0.958 0.550
0.324 0.571 0.416
0.083 0.744 0.621
0.245 0.325 0.998
0.903 0.429 0.715
0.755 0.825 0.498
0.673 0.434 0.583
0.676 0.071 0.916
0.597 0.071 0.215
0.590 0.428 0.284
0.162 0.814 0.927
0.233 0.592 0.012
0.338 0.686 0.427
0.342 0.819 0.072
0.733 0.408 0.012
0.662 0.186 0.927
0.842 0.181 0.072
0.267 0.908 0.512
0.158 0.681 0.572
0.767 0.092 0.512
0.838 0.314 0.427
0.658 0.319 0.572
```

Values from the calculation:
energy of formation from the pure elements	-0.810	eV per atom
size of the total moment	1.000	μB per formula unit

=====

2.
Below is a relaxed Dy2MgSe4 crystal, with properties calculated at the PBE level.

The structure in POSCAR format:
```
Dy2MgSe4
1.0
-8.803 -5.326 -8.318
0.506 -6.872 3.865
-10.006 3.837 8.132
Se Mg Dy
32 8 16
Direct
0.730 0.369 0.779
0.487 0.877 0.378
0.230 0.631 0.779
0.288 0.379 0.019
0.288 0.879 0.003
0.479 0.373 0.369
0.035 0.377 0.130
0.021 0.373 0.869
0.513 0.123 0.878
0.270 0.631 0.279
0.013 0.877 0.878
0.770 0.369 0.279
0.042 0.872 0.136
0.212 0.379 0.519
0.231 0.127 0.778
0.212 0.879 0.503
0.542 0.128 0.136
0.979 0.627 0.369
0.731 0.873 0.778
0.788 0.621 0.019
0.269 0.127 0.278
0.535 0.623 0.130
0.958 0.128 0.636
0.712 0.621 0.519
0.712 0.121 0.503
0.458 0.872 0.636
0.965 0.623 0.630
0.987 0.123 0.378
0.788 0.121 0.003
0.521 0.627 0.869
0.465 0.377 0.630
0.769 0.873 0.278
0.873 0.122 0.821
0.611 0.619 0.690
0.373 0.878 0.821
0.127 0.878 0.321
0.389 0.381 0.190
0.889 0.619 0.190
0.111 0.381 0.690
0.627 0.122 0.321
0.108 0.882 0.686
0.867 0.871 0.491
0.128 0.381 0.326
0.892 0.118 0.186
0.608 0.118 0.686
- - -

Also, when people decide to clean or get rid of aquariums and dump the contents into a waterbody, they are introducing those species to the natural environment, which can disrupt it. If you are an aquarium owner, you can help prevent the spread of invasive species by disposing of aquarium contents responsibly and avoiding the purchasing, selling, trade, or releasing non-native species.  

**Between two parts of the entry: data records**
~~~
MgTa2Fe2O8 | PBE with a Hubbard U | relaxed

## Properties
The uncorrected energy is -0.3004 Ha/atom. For the formation enthalpy at 0 K, the calculation gives -2.649 eV per atom.

Lattice parameters (Å, degrees): 4.9661 5.1987 5.9706 90.00 90.00 91.06
Atoms (fractional coordinates):
Mg  0.0000  0.7500  0.3802
O  0.2103  0.9238  0.1236
O  0.2420  0.4195  0.3644
Ta  0.0000  0.2500  0.1489
Fe  0.5000  0.7500  0.3448
O  0.2461  0.8902  0.6257
Ta  0.0000  0.7500  0.8452
O  0.7916  0.0718  0.8885
O  0.2084  0.4282  0.8885
O  0.7897  0.5762  0.1236
O  0.7539  0.6098  0.6257
Fe  0.5000  0.2500  0.6576
O  0.7580  0.0805  0.3644

=====

# GGA-PBE Li9Bi3P8O29, relaxed
data_Li9Bi3P8O29
_space_group_name_H-M_alt 'P -3 c 1'
_space_group_IT_number 165
_space_group_name_Hall '-P 3 2"c'
_cell_length_a 10.3272
_cell_length_b 10.3272
_cell_length_c 14.1636
_cell_angle_alpha 90.00
_cell_angle_beta 90.00
_cell_angle_gamma 120.00
loop_
_atom_site_label
_atom_site_type_symbol
_atom_site_fract_x
_atom_site_fract_y
_atom_site_fract_z
Li1 Li 0.0000 0.0000 0.0000
Li2 Li 0.1057 0.3284 0.0610
Li3 Li 0.3333 0.6667 0.3783
Bi1 Bi 0.0000 0.4386 0.2500
P1 P 0.0892 0.3047 0.8464
P2 P 0.3333 0.6667 0.1104
O1 O 0.0000 0.2221 0.7500
O2 O 0.0057 0.2246 0.5687
O3 O 0.0625 0.2966 0.3472
O4 O 0.1297 0.4700 0.8419
O5 O 0.2061 0.5114 0.1484
O6 O 0.3333 0.6667 0.0042
# Calculated volume: 13.349 Å³ per atom
# Formation energy from the elements: -125.89 eV/f.u.
# M_tot: 0.000 μB per atom

# GGA-PBE LiBiP4O12, relaxed
data_LiBiP4O12
_space_group_name_H-M_alt 'P 1 21/c 1'
_space_group_IT_number 14
_space_group_name_Hall '-P 2ybc'
_cell_length_a 7.268
_cell_length_b 13.481
_cell_length_c 12.339
_cell_angle_alpha 90.00
_cell_angle_beta 125.39
_cell_angle_gamma 90.00
loop_
_atom_site_label
_atom_site_type_symbol
_atom_site_fract_x
_atom_site_fract_y
_atom_site_fract_z
Li1 Li 0.096 0.210 0.045
Bi1 Bi 0.446 0.222 0.927
P1 P 0.032 0.091 0.769
P2 P 0.143 0.623 0.262
P3 P 0.440 0.628 0.799
P4 P 0.477 0.590 0.197
O1 O 0.002 0.023 0.279
O2 O 0.010 0.696 0.153
O3 O 0.128 0.151 0.710
O4 O 0.167 0.100 0.920
O5 O 0.228 0.618 0.805
O6 O 0.228 0.651 0.403
O7 O 0.282 0.122 0.211
O8 O 0.335 0.651 0.071
O9 O 0.367 0.584 0.277
O10 O 0.369 0.642 0.658
O11 O 0.411 0.206 0.599
O12 O 0.440 0.023 0.643
# Calculated volume: 13.688 Å³ per atom
# Energy above the lowest structure with this stoichiometry: 123 kJ/mol of formula units
# Formation energy from the elements: -44.90 eV/f.u.
# M_tot: 0.000 μB per atom

# GGA-PBE LiBiP4O12, relaxed
data_LiBiP4O12
_space_group_name_H-M_alt 'P 1 21/c 1'
_space_group_IT_number 14
_space_group_name_Hall '-P 2ybc'
_cell_length_a 10.377
_cell_length_b 9.202
_cell_length_c 12.909
_cell_angle_alpha 90.00
_cell_angle_beta 127.02
_cell_angle_gamma 90.00
loop_
_atom_site_label
_atom_site_type_symbol
_atom_site_fract_x
_atom_site_fract_y
_atom_site_fract_z
Li1 Li 0.157 0.066 0.158
Bi1 Bi 0.190 0.717 0.994
P1 P 0.109 0.102 0.848
P2 P 0.199 0.169 0.541
P3 P 0.304 0.604 0.315
~~~
**The entry goes on**

Read more from our sources below! 


Policy Brief – Improving Biosecurity will safeguard our Health, Economy, and Irreplaceable Biodiversity 

Policy Brief – Prevention and Management of Marine invasive alien Species in the Caribbean 

USGS – Invasive Zebra Mussels Found in Pet Stores in 21 States 

Washington Invasive Species Council – Aquariums and Pets 

PNAS – Invasiveness is linked to greater commercial success in the global pet trade